(Exercise)
Print only the lines further down with the word "Peak" in them.

(Excerpt)
Record 1
LiNbO3: theoretical powder diffractogram (Cu Kα (weighted mean of Kα1 and Kα2)), based on a structure optimized by DFT (GGA-PBE).
Peak positions follow from Bragg's law for the DFT cell and can differ from measured ones.

Structure:
```
LiNbO3
1.0
5.302 0.000 0.000
0.000 5.569 0.000
0.000 0.000 15.149
Li Nb O
8 8 24
Direct
0.245 0.250 0.000
0.245 0.250 0.500
0.249 0.217 0.250
0.249 0.283 0.750
0.751 0.717 0.250
0.751 0.783 0.750
0.755 0.750 0.000
0.755 0.750 0.500
0.257 0.735 0.125
0.257 0.735 0.375
0.257 0.765 0.625
0.257 0.765 0.875
0.743 0.235 0.125
0.743 0.235 0.375
0.743 0.265 0.625
0.743 0.265 0.875
0.066 0.041 0.655
0.066 0.041 0.845
0.066 0.459 0.155
0.066 0.459 0.345
0.130 0.750 0.000
0.130 0.750 0.500
0.365 0.692 0.750
0.365 0.808 0.250
0.436 0.078 0.095
0.436 0.078 0.405
0.436 0.422 0.595
0.436 0.422 0.905
0.564 0.578 0.095
0.564 0.578 0.405
0.564 0.922 0.595
0.564 0.922 0.905
0.635 0.192 0.750
0.635 0.308 0.250
0.870 0.250 0.000
0.870 0.250 0.500
0.934 0.541 0.655
0.934 0.541 0.845
0.934 0.959 0.155
0.934 0.959 0.345
```

Top 10 peaks for 10 to 90 degrees two-theta, in order of rising 2θ:
2θ = 23.16°, 3.840 Å, intensity 100; 2θ = 23.49°, 3.787 Å, intensity 49; 2θ = 32.15°, 2.784 Å, intensity 18; 2θ = 33.22°, 2.697 Å, intensity 58; 2θ = 33.81°, 2.651 Å, intensity 12; 2θ = 47.34°, 1.920 Å, intensity 19; 2θ = 53.51°, 1.713 Å, intensity 19; 2θ = 53.99°, 1.698 Å, intensity 20; 2θ = 58.00°, 1.590 Å, intensity 15; 2θ = 60.11°, 1.539 Å, intensity 18

=====

Record 2
BaAlO3: theoretical powder diffractogram (Cu Kα (weighted mean of Kα1 and Kα2)), based on a structure optimized by DFT (GGA-PBE).
Peak positions follow from Bragg's law for the DFT cell and can differ from measured ones.

Structure:
```
BaAlO3
1.0
3.957 0.000 0.000
0.000 3.957 0.000
0.000 0.000 3.957
Ba Al O
1 1 3
Direct
0.000 0.000 0.000
0.500 0.500 0.500
0.000 0.500 0.500
0.500 0.000 0.500
0.500 0.500 0.000
```

Top 10 peaks for 10 to 90 degrees two-theta, in order of rising 2θ:
2θ = 22.47°, 3.957 Å, intensity 44; 2θ = 31.99°, 2.798 Å, intensity 100; 2θ = 39.44°, 2.284 Å, intensity 44; 2θ = 45.87°, 1.978 Å, intensity 38; 2θ = 51.65°, 1.770 Å, intensity 21; 2θ = 57.01°, 1.615 Å, intensity 39; 2θ = 66.88°, 1.399 Å, intensity 23; 2θ = 71.53°, 1.319 Å, intensity 11; 2θ = 76.07°, 1.251 Å, intensity 18; 2θ = 80.51°, 1.193 Å, intensity 14

=====

Record 3
Bi2Os2O7: theoretical powder diffractogram (Cu Kα (weighted mean of Kα1 and Kα2)), based on a structure optimized by DFT (GGA-PBE).
Peak positions follow from Bragg's law for the DFT cell and can differ from measured ones.

Structure:
```
Bi2Os2O7
1.0
0.000 5.227 5.227
5.227 0.000 5.227
5.227 5.227 0.000
Bi Os O
4 4 14
Direct
0.000 0.000 0.000
0.000 0.000 0.500
0.000 0.500 0.000
0.500 0.000 0.000
0.000 0.500 0.500
0.500 0.000 0.500
0.500 0.500 0.000
0.500 0.500 0.500
0.125 0.125 0.125
0.173 0.173 0.577
0.173 0.577 0.173
0.173 0.577 0.577
0.423 0.423 0.827
0.423 0.827 0.423
0.423 0.827 0.827
0.577 0.173 0.173
0.577 0.173 0.577
0.577 0.577 0.173
0.827 0.423 0.423
0.827 0.423 0.827
0.827 0.827 0.423
0.875 0.875 0.875
```

Top 9 peaks for 10 to 90 degrees two-theta, in order of rising 2θ:
2θ = 29.60°, 3.018 Å, intensity 100; 2θ = 34.31°, 2.614 Å, intensity 39; 2θ = 37.50°, 2.398 Å, intensity 1; 2θ = 49.31°, 1.848 Å, intensity 44; 2θ = 58.57°, 1.576 Å, intensity 45; 2θ = 61.45°, 1.509 Å, intensity 12; 2θ = 72.30°, 1.307 Å, intensity 7; 2θ = 80.01°, 1.199 Å, intensity 19; 2θ = 82.53°, 1.169 Å, intensity 17

=====

Record 4
CaPHO4: theoretical powder diffractogram (Cu Kα (weighted mean of Kα1 and Kα2)), based on a structure optimized by DFT (GGA-PBE).
Peak positions follow from Bragg's law for the DFT cell and can differ from measured ones.

Structure:
```
CaPHO4
1.0
10.194 0.000 0.000
0.000 6.959 0.000
-5.666 0.000 9.706
Ca P H O
8 8 8 32
Direct
0.040 0.013 0.247
0.040 0.487 0.747
0.302 0.190 0.066
0.302 0.310 0.566
0.698 0.690 0.434
0.698 0.810 0.934
0.960 0.513 0.253
0.960 0.987 0.753
0.104 0.750 0.061

(Result)
Peak positions follow from Bragg's law for the DFT cell and can differ from measured ones.
Peak positions follow from Bragg's law for the DFT cell and can differ from measured ones.
Peak positions follow from Bragg's law for the DFT cell and can differ from measured ones.
Peak positions follow from Bragg's law for the DFT cell and can differ from measured ones.